My poem for lady liberty
"Thus, come forth and follow my golden light. The path you take will be a delight."
She says this out of respect
The respect in which freedom is here
She wants the immigrants to know that they are near
She holds up her hand with the golden torch. Thus, they can come forth
She shows her courage and strength
So that others can leave their tank
She is showing us all the way
In which migrants don't have to obey. They have the choice of freedom now, And with all might, she'll show us how
The statue of liberty still stands today
To show the immigrants why they came
In the now, we have our pledge, and we are proud. We scream "liberty and justice for all."
To say that we are independent and free now
No more chains and no more fear
This is why lady liberty wanted us here. She still stands over us today
And this is the message she will always say
The poem is from my 14-year-old daughter, Sophia. Her assignment for language arts class was to write a poem about the Statue of Liberty, and this is what she produced. I share it with you not just because I am a proud father but to remind us what the word freedom stands for.

The entry is interrupted by data records =
-- begin --
Compound: MnFeHgF6
Source: Alexandria
Functional: PBE+U
Structure: optimized geometry

As for the total energy: -4.888 eV per atom. As for the space-group type: P-31c.

Lattice parameters (Å, degrees): 5.588 5.588 10.736 90.00 90.00 120.00
Last column: magnetic moment on the atom in μB.
Sites, in units of the cell vectors:
F: 0.976 0.366 0.149  0.06
F: 0.390 0.366 0.351  0.06
F: 0.610 0.634 0.649  0.06
F: 0.976 0.610 0.351  0.06
F: 0.024 0.634 0.851  0.06
F: 0.634 0.024 0.351  0.06
F: 0.634 0.610 0.149  0.06
F: 0.024 0.390 0.649  0.06
F: 0.610 0.976 0.851  0.06
F: 0.366 0.976 0.649  0.06
F: 0.366 0.390 0.851  0.06
F: 0.390 0.024 0.149  0.06
Fe: 0.667 0.333 0.250  4.42
Fe: 0.333 0.667 0.750  4.42
Mn: 0.333 0.667 0.250  4.68
Mn: 0.667 0.333 0.750  4.68
Hg: 0.000 0.000 0.500  -0.38
Hg: 0.000 0.000 0.000  -0.38
-- stop --

The Statue of Liberty is a monument built to symbolize a guiding light to a better place. It is an idea manifested.
Guiding Light

Over the past couple of years, we have lived through a global pandemic, homeschooling, work from home, masks, and now a war between Ukraine and Russia. As a result, we have had a lot to be with over this short time. I believe my daughter's poem speaks to the beauty in our fragile but resilient democracy.
The golden light Sophia spoke about is the beacon of love. No matter how dark or foggy our lives may be, the light is always there to show us the way. What light you ask? The brilliant light of love that is constantly offered to us by small acts of kindness to each other.
We Always Show Up
Remember how restaurants started to donate food to hospital workers within weeks of the shutdown? When there was a mask shortage, moms and children began to sew masks out of household cloth and give them to first responders, medical staff, and needy individuals. Likewise, a group of local businesses specializing in marketing services offers pro bono work for disadvantaged companies. Furthermore, John Krasinski highlighted good news from around the world on his YouTube channel so that we could relax for a few minutes and witness the beauty of humanity.
Our courage and strength have constantly reminded others that you can accomplish anything if you try. Many of us are inspired by how Ukrainians are galvanizing and pushing back on the aggression from Russia. I believe that this is a signal from humankind that we will no longer tolerate old ways of thinking. Human rights, individualism, and the ability to support those in need are the cornerstone of being human. I see a significant shift in people from around the world.
Over 247 years ago, Patrick Henry gave a speech on March 23, 1775, signaled the coming revolution when he spoke at a Virginia convention and implored: "Give me liberty or give me death!" The central idea of Patrick's message was that it was time for the Colonists to take action against the tyranny of the British.

The New Normal
The American people could no longer stand by and take orders from a larger, more militarily superior country. Against all odds, the rag-tag group of American men and women would prevail over the most powerful nation on earth at the time.
As hard or different the last couple of years have been for you, consider all that has happened. You had time to sit back and reconsider how you lived your life until March 2020 and what you wanted to do differently.
Many people decided they had enough of working for companies where their values didn't align. For example, a long commute, too many hours away from family, little or no healthcare from the employer, and pay did not rise with the cost of living.
The result was the great resignation of 2021. Based on PEW Research, workers who quit a job in 2021 say low pay (63%), no opportunities for advancement (63%), and feeling disrespected at work (57%) were reasons why they quit, according to their recent survey. At least a third say each of these was a significant reason they left.

=====
PBE+U LaMnO3, optimized geometry; M_tot = 0.000 μB per atom; calculated total energy = -34.341 eV per formula unit; DOS(E_F) = 0.189 states/eV/atom
1.0
3.1693 0.0000 0.0000
0.0000 3.1589 -4.9061
0.0000 3.1589 4.9061
O Mn La
3 1 1
Direct
0.0000 0.2268 0.7732 O
0.5000 0.2593 0.3593 O
0.5000 0.6407 0.7407 O
0.0000 0.4284 0.5716 Mn
0.5000 0.0729 0.9271 La

----------

## KFeH5S2O10 (PBE with a Hubbard U)

Data for an optimized crystal structure of KFeH5S2O10.

Computed properties:
ΔE to the lowest computed polymorph = 6.24 eV per formula unit
SG = P1, No. 1

Lattice parameters (Å, degrees): 5.6892 6.0770 8.1985 74.73 70.87 88.03
With the nearest neighbours (Å) after each atom.
Positions (direct):
K: 0.0000 0.0000 0.0000  6 O 2.71-3.03
Fe: 0.4127 0.9527 0.5079  4 O 1.83-2.00
H: 0.0768 0.6576 0.7348  1 O 0.98
H: 0.4497 0.7511 0.1973  1 O 1.03
H: 0.5847 0.9687 0.7707  1 O 1.03
H: 0.6633 0.6536 0.3823  1 O 0.98
H: 0.7089 0.1957 0.5931  1 O 1.00
S: 0.1010 0.3126 0.3196  3 O 1.48-1.54
S: 0.6003 0.5071 0.8391  2 O 1.47-1.48
O: 0.1439 0.8159 0.7019  1 H 0.98
O: 0.3233 0.2518 0.3880  1 S 1.54
O: 0.3691 0.3749 0.9598  1 S 1.47
O: 0.3738 0.7635 0.0978  1 H 1.03
O: 0.5651 0.7814 0.3452  1 H 0.98
O: 0.5727 0.0734 0.6533  2 H 1.00-1.03
O: 0.5911 0.7780 0.9431  1 O 1.44, 1 H 1.58
O: 0.8297 0.4061 0.8664  1 S 1.48
O: 0.9144 0.4258 0.4445  1 S 1.50
O: 0.9917 0.1052 0.3035  1 S 1.48

----------

[1]
Compound: ScAlSiMo2
Source: Alexandria via LeMat-Bulk
Functional: PBE
Structure: optimized geometry

a b c (Å): 4.618 4.890 4.618
angles (deg): 90.00 90.00 90.00
Each line ends with the local moment (μB).
Element x y z (fractional)
Sc 0.000 0.000 0.000  0.04
Mo 0.000 0.000 0.500  0.53
Mo 0.500 0.000 0.000  0.75
Si 0.500 0.500 0.500  -0.01
Al 0.000 0.500 0.000  -0.01

Properties
The value obtained for the uncorrected formation energy is 179 kJ/mol of atoms. As for the space group: P4/mmm, No. 123.



[2]
Compound: ScAlTcMo
Source: Alexandria via LeMat-Bulk
Functional: PBE
Structure: optimized geometry

a b c (Å): 4.513 4.513 4.513
angles (deg): 60.00 60.00 60.00
Element x y z (fractional)
Sc 0.000 0.000 0.000
Mo 0.500 0.500 0.500
Tc 0.750 0.750 0.750
Al 0.250 0.250 0.250

Properties
As for the space group: F-43m, No. 216. The value obtained for the energy relative to the elements is -0.219 eV/atom.



[3]
Compound: ScTiAlMo
Source: Alexandria via LeMat-Bulk
Functional: PBE
Structure: optimized geometry

a b c (Å): 4.603 4.603 4.603
angles (deg): 60.00 60.00 60.00
Element x y z (fractional)
Sc 0.250 0.250 0.250
Mo 0.500 0.500 0.500
Al 0.000 0.000 0.000
Ti 0.750 0.750 0.750

Properties
As for the space group: F-43m, No. 216. The value obtained for the energy relative to the elements is -0.214 eV/atom.



[4]
Compound: TmScAlMo
Source: Alexandria via LeMat-Bulk
Functional: PBE
Structure: optimized geometry

a b c (Å): 4.847 4.847 4.847
angles (deg): 60.00 60.00 60.00
Element x y z (fractional)
Sc 0.000 0.000 0.000
Mo 0.750 0.750 0.750
Tm 0.500 0.500 0.500
Al 0.250 0.250 0.250
=====

Here is My Offer
Roughly half say child care issues were why they quit a job (48% among those with a child younger than 18 in the household). A similar share point to a lack of flexibility to choose when they put in their hours (45%) or not having good benefits such as health insurance and paid time off (43%). Roughly a quarter say each of these was a compelling reason.
Recognize Me
A new day is dawning, and you, my friends, are witnessing it in real-time. We are and have always been a free people. It is in our DNA to know our worthiness, and we can not be convinced otherwise. The old guard has lost control of the narrative. Fear is not the motivating factor anymore, and we will not tolerate mistruths. The power to create has always been with you; it has just waited for you to recognize it.
Therefore, to honor Sophia's poem, we look at the Statue of Liberty and peer at the tablet in her hand. The inscription reads JULY IV MDCCLXXVI (July 4, 1776). The date of the Declaration of Independence. In other words, we declared our freedom on that date; we won the war when the Continental Army forced the British to surrender at Yorktown, Virginia, in 1781. Some 5 years later...

We Are United
I end this blog with a line from Sophia's poem: In the now, we have our pledge, and we are proud. We scream "liberty and justice for all."